**Material**
[1]
Li4Co3Sn5O16: calculated powder diffractogram (λ = 1.5418 Å (Cu Kα)), based on a structure optimized by DFT (PBE+U).

abc: 6.148 10.599 11.580
angles: 62.92 74.69 89.32
Space group P1 (No. 1)
Unique sites:
Li: 0.000 0.000 0.000 x1
Li: 0.009 0.392 0.906 x1
Li: 0.226 0.252 0.512 x1
Li: 0.261 0.970 0.418 x1
Li: 0.496 0.500 0.999 x1
Li: 0.506 0.892 0.905 x1
Li: 0.733 0.754 0.513 x1
Li: 0.758 0.470 0.418 x1
Co: 0.102 0.979 0.724 x1
Co: 0.111 0.812 0.229 x1
Co: 0.351 0.236 0.729 x1
Co: 0.604 0.481 0.723 x1
Co: 0.609 0.311 0.229 x1
Co: 0.859 0.739 0.729 x1
Sn: 0.098 0.312 0.229 x1
Sn: 0.206 0.594 0.510 x1
Sn: 0.348 0.732 0.728 x1
Sn: 0.353 0.567 0.226 x1
Sn: 0.456 0.180 0.999 x1
Sn: 0.603 0.813 0.228 x1
Sn: 0.709 0.096 0.509 x1
Sn: 0.848 0.233 0.729 x1
Sn: 0.856 0.065 0.230 x1
Sn: 0.962 0.679 0.998 x1
O: 0.019 0.089 0.359 x1
O: 0.040 0.598 0.857 x1
O: 0.063 0.105 0.819 x1
O: 0.066 0.606 0.348 x1
O: 0.156 0.025 0.117 x1
O: 0.156 0.864 0.617 x1
O: 0.161 0.373 0.607 x1
O: 0.173 0.538 0.106 x1
O: 0.259 0.821 0.862 x1
O: 0.282 0.820 0.348 x1
O: 0.304 0.350 0.327 x1
O: 0.305 0.320 0.852 x1
O: 0.395 0.790 0.120 x1
O: 0.408 0.290 0.111 x1
O: 0.415 0.134 0.617 x1
O: 0.433 0.626 0.605 x1
O: 0.514 0.592 0.358 x1
O: 0.540 0.099 0.859 x1
O: 0.563 0.593 0.815 x1
O: 0.569 0.084 0.361 x1
O: 0.654 0.378 0.623 x1
O: 0.656 0.542 0.110 x1
O: 0.663 0.870 0.614 x1
O: 0.673 0.037 0.109 x1
O: 0.751 0.332 0.855 x1
O: 0.794 0.318 0.357 x1
O: 0.800 0.816 0.856 x1
O: 0.823 0.842 0.326 x1
O: 0.911 0.628 0.617 x1
O: 0.917 0.283 0.114 x1
O: 0.920 0.793 0.115 x1
O: 0.922 0.130 0.606 x1

Largest 10 diffraction maxima, by angle, 5 to 70 degrees two-theta:
2θ (°)  Rel. int.  hkl
17.98  73  0 0 2
18.97  100  0 2 0
19.06  88  1 -1 1
24.71  41  1 -1 2
32.11  42  0 2 4
34.21  44  1 3 0
34.52  65  2 0 3
34.66  48  2 2 1
35.06  47  -2 2 1
35.14  46  0 4 3

***

[2]
Li2NiP2O8: calculated powder diffractogram (λ = 1.5418 Å (Cu Kα)), based on a structure optimized by DFT (PBE+U).

abc: 4.909 17.603 6.589
angles: 90.00 93.58 90.00
Space group P2_1 (No. 4)
Unique sites:
Li: 0.018 0.000 0.030 x2
Li: 0.038 0.327 0.728 x2
Li: 0.437 0.746 0.054 x2
Li: 0.475 0.559 0.728 x2
Ni: 0.052 0.316 0.240 x2
Ni: 0.454 0.573 0.266 x2
P: 0.032 0.978 0.528 x2
P: 0.071 0.159 0.968 x2
P: 0.427 0.728 0.534 x2
P: 0.471 0.908 0.973 x2
O: 0.034 0.890 0.534 x2
O: 0.105 0.511 0.288 x2
O: 0.112 0.499 0.680 x2
O: 0.137 0.245 0.004 x2
O: 0.166 0.883 0.971 x2
O: 0.185 0.107 0.139 x2
O: 0.217 0.140 0.773 x2
O: 0.241 0.645 0.062 x2
O: 0.265 0.249 0.445 x2
O: 0.290 0.753 0.730 x2
O: 0.303 0.766 0.339 x2
O: 0.331 0.007 0.527 x2
O: 0.380 0.376 0.834 x2
O: 0.391 0.376 0.213 x2
O: 0.392 0.641 0.514 x2
O: 0.475 0.997 0.973 x2

Largest 10 diffraction maxima, by angle, 5 to 70 degrees two-theta:
2θ (°)  Rel. int.  hkl
14.38  100  0 1 1
20.28  36  0 3 1
23.86  28  1 1 1
24.18  60  1 2 -1
24.34  41  0 4 1
25.44  48  1 2 1
26.74  24  1 3 -1
33.45  20  1 2 -2
34.04  54  0 4 2
35.67  45  1 6 0

***

[3]
ZnCrNiP2O9: calculated powder diffractogram (λ = 1.5418 Å (Cu Kα)), based on a structure optimized by DFT (PBE+U).

abc: 14.111 6.252 7.419
angles: 90.00 90.00 90.00
Space group Pnma (No. 62)
Unique sites:
Zn: 0.223 0.250 0.112 x4
Cr: 0.116 0.250 0.645 x4
Ni: 0.000 0.000 0.000 x4
P: 0.067 0.750 0.644 x4
P: 0.199 0.750 0.109 x4
O: 0.010 0.250 0.499 x4
O: 0.020 0.750 0.838 x4
O: 0.051 0.250 0.847 x4
O: 0.137 0.562 0.631 x8
O: 0.141 0.538 0.113 x8
O: 0.225 0.250 0.466 x4
O: 0.238 0.250 0.783 x4

Largest 10 diffraction maxima, by angle, 5 to 70 degrees two-theta:
2θ (°)  Rel. int.  hkl
13.48  19  1 0 1
17.34  21  2 0 1
24.82  100  1 0 2
28.01  23  4 0 1
28.55  26  0 2 0
31.30  20  2 2 0
31.70  30  1 2 1
33.98  32  5 0 1
36.58  17  3 2 1
57.67  21  5 2 3

***

[4]
Ca8TiMn7O21: calculated powder diffractogram (λ = 1.5418 Å (Cu Kα)), based on a structure optimized by DFT (PBE+U).

abc: 7.748 7.775 7.813
angles: 90.00 90.30 90.00
Space group Pm (No. 6)
Unique sites:
Ca: 0.000 0.235 0.000 x2
Ca: 0.437 0.241 0.539 x2
**To do**
Retype only the last part of the data further up, starting with the line that has "0.326 x1".
**Completed**
O: 0.823 0.842 0.326 x1
O: 0.911 0.628 0.617 x1
O: 0.917 0.283 0.114 x1
O: 0.920 0.793 0.115 x1
O: 0.922 0.130 0.606 x1

Largest 10 diffraction maxima, by angle, 5 to 70 degrees two-theta:
2θ (°)  Rel. int.  hkl
17.98  73  0 0 2
18.97  100  0 2 0
19.06  88  1 -1 1
24.71  41  1 -1 2
32.11  42  0 2 4
34.21  44  1 3 0
34.52  65  2 0 3
34.66  48  2 2 1
35.06  47  -2 2 1
35.14  46  0 4 3

***

[2]
Li2NiP2O8: calculated powder diffractogram (λ = 1.5418 Å (Cu Kα)), based on a structure optimized by DFT (PBE+U).

abc: 4.909 17.603 6.589
angles: 90.00 93.58 90.00
Space group P2_1 (No. 4)
Unique sites:
Li: 0.018 0.000 0.030 x2
Li: 0.038 0.327 0.728 x2
Li: 0.437 0.746 0.054 x2
Li: 0.475 0.559 0.728 x2
Ni: 0.052 0.316 0.240 x2
Ni: 0.454 0.573 0.266 x2
P: 0.032 0.978 0.528 x2
P: 0.071 0.159 0.968 x2
P: 0.427 0.728 0.534 x2
P: 0.471 0.908 0.973 x2
O: 0.034 0.890 0.534 x2
O: 0.105 0.511 0.288 x2
O: 0.112 0.499 0.680 x2
O: 0.137 0.245 0.004 x2
O: 0.166 0.883 0.971 x2
O: 0.185 0.107 0.139 x2
O: 0.217 0.140 0.773 x2
O: 0.241 0.645 0.062 x2
O: 0.265 0.249 0.445 x2
O: 0.290 0.753 0.730 x2
O: 0.303 0.766 0.339 x2
O: 0.331 0.007 0.527 x2
O: 0.380 0.376 0.834 x2
O: 0.391 0.376 0.213 x2
O: 0.392 0.641 0.514 x2
O: 0.475 0.997 0.973 x2

Largest 10 diffraction maxima, by angle, 5 to 70 degrees two-theta:
2θ (°)  Rel. int.  hkl
14.38  100  0 1 1
20.28  36  0 3 1
23.86  28  1 1 1
24.18  60  1 2 -1
24.34  41  0 4 1
25.44  48  1 2 1
26.74  24  1 3 -1
33.45  20  1 2 -2
34.04  54  0 4 2
35.67  45  1 6 0

***

[3]
ZnCrNiP2O9: calculated powder diffractogram (λ = 1.5418 Å (Cu Kα)), based on a structure optimized by DFT (PBE+U).

abc: 14.111 6.252 7.419
angles: 90.00 90.00 90.00
Space group Pnma (No. 62)
Unique sites:
Zn: 0.223 0.250 0.112 x4
Cr: 0.116 0.250 0.645 x4
Ni: 0.000 0.000 0.000 x4
P: 0.067 0.750 0.644 x4
P: 0.199 0.750 0.109 x4
O: 0.010 0.250 0.499 x4
O: 0.020 0.750 0.838 x4
O: 0.051 0.250 0.847 x4
O: 0.137 0.562 0.631 x8
O: 0.141 0.538 0.113 x8
O: 0.225 0.250 0.466 x4
O: 0.238 0.250 0.783 x4

Largest 10 diffraction maxima, by angle, 5 to 70 degrees two-theta:
2θ (°)  Rel. int.  hkl
13.48  19  1 0 1
17.34  21  2 0 1
24.82  100  1 0 2
28.01  23  4 0 1
28.55  26  0 2 0
31.30  20  2 2 0
31.70  30  1 2 1
33.98  32  5 0 1
36.58  17  3 2 1
57.67  21  5 2 3

***

[4]
Ca8TiMn7O21: calculated powder diffractogram (λ = 1.5418 Å (Cu Kα)), based on a structure optimized by DFT (PBE+U).

abc: 7.748 7.775 7.813
angles: 90.00 90.30 90.00
Space group Pm (No. 6)
Unique sites:
Ca: 0.000 0.235 0.000 x2
Ca: 0.437 0.241 0.539 x2